My DH seems to thinks that now matter how is treats me he is entitled to sex whenever he likes. I am not only depressed over this but frightened. It has been some time since we had sex and he has become very adamant and demanding about it. I understand his frustrations about it but what about me. Nothing changes as far as his behaviours even if he gets what he wants....
You should leave
If you are really and truly frightened, you need to get out now. Do you have a place to stay? It may seem scary to be on your own at first, but you will never regret it. I mean, if you're depressed over it, you should get out, but if you are afraid he will hurt you, then you have no reason to stay. Especially if you have kids.
Sounds like you are not attracted to him
"It has been some time since we had sex and he has become very adamant and demanding about it."
In addition to you being frightened--a justification to leave on its own--I also got the impression that you are not sexually attracted to him. That would be fine if both spouses wanted a companionate marriage, but it sounds like he can not accept that.
"Nothing changes as far as his behaviours even if he gets what he wants...." Sex should not be a motivation for behavioral change. Sex should be based on feelings of physical and emotional attraction. If you only agree to sex because you fear him or you are trying to mollify him, you should end the marriage. Both of you would then be free to find partners who share your respective goals.
"Curiously enough, the only thing that went through the mind of the bowl of petunias as it fell was 'Oh no, not again.'"--Douglas Adams, The Hitchhiker's Guide to the Galaxy
There are things that aren't an option in marriage, (to me).
Our wedding Vows are just that...The two of us committing ourselves to each other in the good times, and the bad times, the sick times, and healthy times, 2 being 1 flesh...
The only place sex can happen for either of us in a pure and right state is in this union, everything else of course would (immoral) adultery ...So because of this truth, I would never consider pushing my wife away...Now saying this, there may be a reason my marriage should be dissolved...But there is never a reason to not honor my vows in the marriage....
The power of my body isn't mine to bargain with...It belongs to God first, and my wife second, I'm the third owner...There are many more truths concerning marriage, one of them is how I should live with my wife in an understanding manner. (which has been very difficult for me, based on how different we feel about things, but, it's my responsibility to do so non the less) I'm am also instructed to love her, in the same way that I love my own flesh...And I definitely want my flesh loved and care for, so I am going to take care of her....Anything else isn't an option...I know that we live in a day and time where many humans, feel they have a self appointed right to do as they please....And they might, but, you can rest assured that it is self appointed.....
Never allow yourself to be abused, but, never fight abuse w/ the same....
Blessings Libby, I will pray for you....
I would challenge you to
I would challenge you to listen to Patrick Doyles discussion on sex and the abusive marriage. Nowhere in the Bible does it say that abusive spouses are still entitled to a normal sex life.
I'm sure he (Mr.Doyles) means well, and makes good points...
But, if he shares anything that isn't Ephesians 5: 22 through the end of the chapter....I Corinthians 7: 1-5...Then I'm not interested....The problem isn't what truth is...The problem is people who doesn't seek truth for their lives...Scripture (the bible) is given to the body of Christ...Those who seek God's presents in their lives, (through the Christ)...It's not that I would not agree that a person should NOT accept abuse...But I think we feel different about a few things related to how the the abuse should be responded to....And that is fine, it's a very difficult thing to face...But I am saying two wrongs never has nor ever will make a right....I'm accountable for my own sin, and my wife will never answer for my wrongs...Just as I will never answer for hers....I have to make decisions' based on what scriptures is saying to me as a husband...I can never base it on what someone else does or doesn't do..
I’d just like to point out
I’d just like to point out that the section you’re referring to is run of the mill marriage advice for the average couple. It isn’t advice for extreme situations.
# Next to the page, the page also holds calculated crystals
<<<
No. 1
{"formula": "Al12W", "functional": "r2SCAN", "state": "relaxed", "e_form_ev_per_atom": -0.072, "volume_a3_per_cell": 213.6, "total_energy_ev_per_cell": -133.1, "lattice": [[-5.0853, 0.3279, 4.0704], [3.7108, -5.1297, 1.5660], [3.5280, 5.4640, 0.4841]], "species": ["Al", "Al", "Al", "Al", "Al", "Al", "Al", "Al", "Al", "Al", "Al", "Al", "W"], "frac_coords": [[0.4945, 0.3076, 0.1869], [0.3076, 0.8131, 0.1207], [0.1869, 0.8793, 0.6924], [0.6924, 0.8131, 0.5055], [0.8131, 0.1207, 0.3076], [0.6924, 0.1869, 0.8793], [0.8131, 0.5055, 0.6924], [0.1869, 0.4945, 0.3076], [0.3076, 0.1869, 0.4945], [0.1207, 0.3076, 0.8131], [0.8793, 0.6924, 0.1869], [0.5055, 0.6924, 0.8131], [0.0000, 0.0000, 0.0000]]}

No. 2
{"formula": "YAl2", "functional": "r2SCAN", "state": "relaxed", "e_form_ev_per_atom": -0.583, "volume_a3_per_cell": 120.9, "total_energy_ev_per_cell": -71.1, "lattice": [[4.8064, 0.0000, 2.7750], [1.6021, 4.5315, 2.7750], [0.0000, 0.0000, 5.5500]], "species": ["Y", "Y", "Al", "Al", "Al", "Al"], "frac_coords": [[0.8750, 0.8750, 0.8750], [0.1250, 0.1250, 0.1250], [0.5000, 0.5000, 0.5000], [0.5000, 0.5000, 0.0000], [0.0000, 0.5000, 0.5000], [0.5000, 0.0000, 0.5000]]}

No. 3
{"formula": "Y2Al", "functional": "r2SCAN", "state": "relaxed", "e_form_ev_per_atom": -0.336, "volume_a3_per_cell": 320.7, "total_energy_ev_per_cell": -193.5, "lattice": [[5.1128, 0.0000, 0.0000], [0.0000, 6.6092, 0.0000], [0.0000, 0.0000, 9.4903]], "species": ["Y", "Y", "Y", "Y", "Y", "Y", "Y", "Y", "Al", "Al", "Al", "Al"], "frac_coords": [[0.7500, 0.1870, 0.9272], [0.2500, 0.8130, 0.0728], [0.7500, 0.6870, 0.5728], [0.2500, 0.3130, 0.4272], [0.7500, 0.0274, 0.2925], [0.2500, 0.9726, 0.7075], [0.7500, 0.5274, 0.2075], [0.2500, 0.4726, 0.7925], [0.7500, 0.7098, 0.8957], [0.2500, 0.2902, 0.1043], [0.7500, 0.2098, 0.6043], [0.2500, 0.7902, 0.3957]]}

No. 4
{"formula": "YbYAl6", "functional": "r2SCAN", "state": "relaxed", "e_form_ev_per_atom": -0.445, "volume_a3_per_cell": 300.6, "total_energy_ev_per_cell": -201.6, "lattice": [[3.0205, -5.2316, 0.0000], [3.0205, 5.2316, 0.0000], [0.0000, 0.0000, 9.5101]], "species": ["Yb", "Yb", "Y", "Y", "Al", "Al", "Al", "Al", "Al", "Al", "Al", "Al", "Al", "Al", "Al", "Al"], "frac_coords": [[0.0000, 0.0000, 0.5000], [0.0000, 0.0000, 0.0000], [0.3333, 0.6667, 0.2500], [0.6667, 0.3333, 0.7500], [0.8182, 0.6364, 0.2500], [0.3636, 0.1818, 0.2500], [0.8182, 0.1818, 0.2500], [0.1818, 0.3636, 0.7500], [0.6364, 0.8182, 0.7500], [0.1818, 0.8182, 0.7500], [0.5000, 0.5000, 0.5000], [0.5000, 0.0000, 0.5000], [0.0000, 0.5000, 0.5000], [0.5000, 0.5000, 0.0000], [0.5000, 0.0000, 0.0000], [0.0000, 0.5000, 0.0000]]}

No. 5
>>>
# The calculated crystals stop here
This is my problem with the average advice for women in religious backgrounds. When someone is wrong, that same book says to stand up to it. If they won’t listen to you, then stand up to it with an audience. And then if they still won’t listen, they get booted. If that’s the advice for nonsexual problems, then I cannot seriously think that a woman is supposed to ignore her screaming insides and offer her body in a hugely vulnerable way when she is being treated so badly by the person who said he would look after her needs. It doesn’t add up.
Libby, I think as much as it hurts, it might be time to tell him that you don’t feel safe to offer yourself to him when he treats you like a prostitute. Could you say “I’m not a prostitute. If having a healthy marriage isn’t something you are interested in, then make your plans and leave.”
~ Brin
Average advice....
This "average advice" is life changing for all of us, that accept it...that includes Libby's husband...But he will have to do like the rest of us...See his need, repent, and seek it....No intentions to offend anyone here....Most of us probably wouldn't put up w/ what Libby deals with....
withholding is abuse (?)
devil's avocate:
you say "nothing changes..if i give him what he wants" you are withholding to punish him?
physical and emotional withholding is a betrayal of your spouse, it is punishing (opposite of loving) and is a form of abuse.
In this case it is not abuse
In this case it is not abuse to not have sex with my DH but the result of many years of his untreated mental illness and all that entails. It is the result of him wanting only the sexual part of the marriage and nothing else. He wants No affection, no friendship, no communication, no connection with me except in the bedroom. I would say that is abuse on his part.
In my world, a person, male
In my world, a person, male or female, is always allowed to say "no" to sex.
Enthusiastic consent all the way. I don't even know why a committed spouse or partner would want sex without that.
I agree....
(Enthusiastic consent all the way. I don't even know why a committed spouse or partner would want sex without that.)
We don't, but, when it's all there is, we endure the negative out look and enjoy the release, no one in their right mind wants it to be this way...Also men and women have different needs....I can't know the true feelings of a women, just as you can't know the true feelings of a man....
Love and sex and desire
Libby, do not feel like you are to blame if you don't want to have sex with someone. If you don't want to, it is a woman's right to not to HAVE to. A piece of paper does not take away a woman's right to her own body. Don't do it if you don't feel like it. We are not in a country or time era where it is a woman's duty to grin and bear it.
To you guys, Do not expect a woman to have to have sex with you for ANY reason. Don't expect a woman to oblige you just because you buy her dinner, kiss her one time, say loving words one time.
Here is what you can do if you want sex with a wife: If she can count on you to be there for her always, if you regularly look at her with love and care in your eyes, if she can count on you to financially support her for a lifetime, if you are a person of integrity and honorable and consistently groomed. THEN you MAY be alluring to her to WANT to be part of your physical life together.
If you ARE all of those things and not getting sex, ask your wife what it is that is NOT happening inside her life that she does not want to be that part of you.
Some women don't want sex JUST for the sake of someone to "fill" her physical needs and sexual urges. Some women want love and marriage desire the closeness and the security of a loving husband. Women put a lot of effort into how they look and smell and they prepare their bodies for allure. Then men come ungroomed and just feel entitled to intimacy because why????? Because they are horny? Because they signed a piece of paper. Does a woman sign that piece of paper aware that her husband expects her to make her body available to him at his will even though he does nothing to merit a place of desire in her?
I always don't get that. Men talk about their sexual needs but it is the women who do the preparing for possible sex encounters. The only men I wanted to tear my clothes off for were those who put effort into their bodies, hygiene, reputations, achievements, trustworthiness, PARTNERING and the consistent look of care and appreciation in their eyes REGULARLY. mmmm...yes...yes...please.
"You should give it to me because we are married and I have physical needs." yuk, get away, not a chance.
Thank you Jenna.
Thank you Jenna.
Your list is typical daily living for many men...But it didn't do a lot for the trauma of rape with my first wife (30 years)....But it does help a lot w/ my present wife....:)...Unless there is a more shiner attraction...Or, the rest of her not to night
This topic sets off so many triggers for me. My ex-husband was verbally and emotionally abusive to me. His lack of personal hygiene was a complete turn-off. He would only brush his teeth in the morning before he left for work and that was it. He smoked a pack and a half of cigarettes a day and drank alot of coffee. Didn't wash up down there, and then expected me to not only be ready but willing to have sex with him whenever he wanted it.
The only time he spoke kindly to me or asked how my day was going was when he wanted sex.
One night, things went too far, and I was left in tears, shaking.
Intimacy starts with the little things...
agreed too, but what if an ADHD symptom?
of course consent is always mandatory and everybody's body is their own.
that doesn't mean that some folks don't engage in avoidance/withdrawl/neglect in a harmful/manipulative way (power, revenge, selfishness, having an affair).
not making an effort to engage or connect intimately with your partner, even when hygeiene, compliments, generosity, support, fitness/lost attractiveness are not issues is possibly an ADHD behavior...and there is hurt that comes with neglect, a form of abuse
I agree with both things, too, 33. Consent is mandatory, but avoidance/neglect is a pain I wouldn't wish on anyone. I'm sorry if you are experiencing that. I am in the boat you describe. My husband and I have not been intimate in 8 years. Porn lights his ADHD brain on fire. Therefore, real people are no longer a match for that. It felt like a form of abuse to me for a very long time. I didn't know about the porn for many years.. He pretended it was a medical issue (maybe he has tricked himself into believing that, even), so I tried very hard to be understanding and sensitive. I questioned myself so much and lost a lot of confidence. It was devastating. I suppose I have moved on to acceptance. It's definitely not me... this is yet another ADHD issue that he is unwilling to address. After 8 years of nothing and several before of being rejected except perhaps twice a year, I would not now be with him in that way even if he asked. Which he won't, of course. He's probably thrilled I stopped pursuing him.
I don't know how one partner can do that to another and expect lifelong acceptance. But he does. I don't know how he can shrug off the dozens of occasions I carefully and vulnerably approached the subject with him. But he did.
He has made his choice and it's clear no amount of hurt on my part is enough for him to work on it. So it is up to me to accept and stay or reject and leave when I can.
not being wanted
i am so sorry for your experience. everyone deserves to feel attractive, to be given confidence by another's appreciation of their soul, their body, their mind, their effort to give, that is a big part of love.
neglect is a pierce to the spirit.
So I read this thread over
So I read this thread over many times and I'm not sure who to comment back to. Many things to think about. First of all, a woman's body is not property and no one just gets to have it. If the woman does not want sex, that's pretty much all there is. No explanation needed. From what I gather from my friends who have normal healthy marriages with normal healthy spouses, sex lives ebb and flow, especially with age and children. I am 48, we have been married 23 years, so that is around the age and marriage span of a lot of my friends. Most of the crave, enjoy, look forward to, hope for, even schedule sex with their spouse. Why? Because their spouse is present and engaged in all the other parts of their married lives too, not just the parts that interest them at any given moment, not just the parts THEY care about, or the parts that are easy and fun. The people I know with the most robust sex lives also have the most robust lives outside the bedroom--hobbies they share AND things they do separately. Work they enjoy. They spend time together at home and out in the world. Notice I did not say money. Not all of my friends are wealthy (we are not). An easy life is not what I mean. That sense of partnership, that someone has your back, that if one person drops the ball, the other picks it up and vice versa. I don't feel any of that. I feel fairly confident in saying most of us here are juggling ALL the balls and if one drops the consequences of that are all on us, our other person may not even notice it dropped. For the past six or seven years, there is no feeling of partnership in my life. No one has my back. My husband is not the first person I share good news with, not the person I go to for advice about anything, not the person I share work concerns with (his only response is some version of "maybe you should get a new job"). Sex has also gone away in the past six or seven years. For me, I can't hand my body over to someone who doesn't really know ME, who does not have the good of me or our family as his first priority. If there is no day to day connection, how to you invent one just for sex and then go back to being roommates? My DH is terribly overweight and has very questionable grooming. That is not terribly appealing either. I worked super hard after a major back surgery last December to lose 15 pounds and am now I healthy size 8 and I look pretty damn good for 48 and he hasn't looked at me or touched me in any way, least of all sexual in over a year, probably longer. You know that thrill when you get dressed and you know you look good and you sorta look forward to a compliment? That has not happened in my house in years. I have asked a few times if he misses sex and he shrugs and says he can do without it, he can take it or leave it. So what would be MY motivation to pursue that? Add to that the bizarre behaviors, lying, messes, unfinished projects, undermining me with the kids--who wants to sleep with that guy? Not me, I can tell you that. We used to have a fabulous sex life, but over time it has just slipped away like everything else about our marriage. I suspect it wasn't as good as I thought it was, and clearly the entire marriage wasn't what I thought it was, what with the three other women there have been over the past seven years, so there is that too. I used to feel like no matter what was wrong in our every day lives, at least we had great sex but at some point that stops being enough to hold an entire marriage together so here we are.
I don't know--I rambled and didn't say anything particularly earth shattering, it's just a tough subject. I miss being physically intimate with someone who loved me, but if I was brutally honest with myself, I don't know if DH actually did or does love ME. He is still stuck being a petulant teenager behavior-wise and maturity-wise and I had to grow up and act my actual age to make up for that and also because well, I want to be an adult. It's hard to forge any connection with a crabby, put upon 19 year old in a 50 year old body, forget a physical one. I don't buy the whole "sex is part of the marriage obligation". So is being fully present to your wife. So is not spending money foolishly so that she has to worry about your budget. So is holding down a job all the time, not just when it's fun. So is parenting your kids, not being their friend. You can't have the physical stuff without the rest of the stuff. Just my two cents. Kind of rambly and disjointed. Sorry.
You did a good job
I think you did a great job describing your situation and your feelings - and no doubt some other readers/members of this forum will see themselves in what you shared and feel less alone. Any hint of attraction is gone for many of us because of years of untreated symptoms/havoc.
Amen sister
Amen sister
I'd like to throw out the
I'd like to throw out the unpopular opinion.
Assuming your situation is similar to mine, I understand where you're coming from. Is isn't that you are withholding sex to be malicious. It's when you are constantly faced with berating, name calling, and anger and then expected to flip the switch and put out without any kind of acknowledgement or apology. I know when I am in that situation, sex for me is just feeling like I'm only good for my body. Like I'm not deserving of respect, but he has no problem using my body for his own benefit. I spend the entire act feeling resentful and hoping to just get it over with. So no, I don't think it's malicious to withhold sex. I think we're just waiting for the love and compassion to accompany it, but it never comes. And the cycle repeats.
I wish I had advice for you. Just know that you aren't crazy or alone.